Assignment >
Give back the data further below from the line with "1.755" to the end exactly.
Contents >
____________
Starting from a structure optimized by DFT (GGA-PBE), the X-ray diffraction stick pattern of Pm8Hg2Rh3 was calculated for Cu Kα X-rays.

Largest 10 diffraction maxima, sorted by position, 2θ = 10–80°:
Position (°2θ)	d_spacing	I_rel
21.4	4.159	26
35.2	2.552	100
35.3	2.544	26
35.5	2.530	25
50.9	1.794	18
62.9	1.478	8
63.0	1.475	8
63.2	1.470	18
63.5	1.465	18
74.3	1.276	10

Crystal structure
a b c (Å): 8.861 5.060 8.872
angles (deg): 90.00 109.95 90.00
Element x y z (fractional)
1 Pm 0.115 0.000 0.384
2 Pm 0.131 0.500 0.862
3 Pm 0.362 0.500 0.630
4 Pm 0.385 0.000 0.116
5 Pm 0.615 0.000 0.884
6 Pm 0.638 0.500 0.370
7 Pm 0.869 0.500 0.138
8 Pm 0.885 0.000 0.616
9 Hg 0.256 0.500 0.244
10 Hg 0.744 0.500 0.756
11 Rh 0.000 0.500 0.500
12 Rh 0.255 0.000 0.755
13 Rh 0.745 0.000 0.245

---

Starting from a structure optimized by DFT (GGA-PBE), the X-ray diffraction stick pattern of Pm3HgRu2 was calculated for Cu Kα X-rays.

Largest 10 diffraction maxima, sorted by position, 2θ = 10–80°:
Position (°2θ)	d_spacing	I_rel
26.6	3.355	6
29.9	2.991	9
34.8	2.581	100
36.2	2.482	50
47.8	1.904	7
52.1	1.755	18
61.4	1.511	14
64.2	1.451	34
73.4	1.291	8
76.8	1.241	6

Crystal structure
a b c (Å): 3.510 3.510 11.426
angles (deg): 90.00 90.00 90.00
Element x y z (fractional)
1 Pm 0.000 0.000 0.000
2 Pm 0.000 0.000 0.304
3 Pm 0.000 0.000 0.696
4 Hg 0.500 0.500 0.500
5 Ru 0.500 0.500 0.159
6 Ru 0.500 0.500 0.841

---

Starting from a structure optimized by DFT (GGA-PBE), the X-ray diffraction stick pattern of Pm5Hg2Ru2 was calculated for Cu Kα X-rays.

Largest 10 diffraction maxima, sorted by position, 2θ = 10–80°:
Position (°2θ)	d_spacing	I_rel
30.5	2.930	41
31.8	2.814	47
32.2	2.783	100
32.7	2.741	47
34.2	2.621	58
36.7	2.446	43
37.4	2.402	40
37.9	2.372	32
58.0	1.591	27
64.1	1.453	22

Crystal structure
a b c (Å): 8.946 8.946 7.842
angles (deg): 90.00 90.00 50.73
Element x y z (fractional)
1 Pm 0.000 0.000 0.000
2 Pm 0.048 0.713 0.669
3 Pm 0.213 0.548 0.169
4 Pm 0.287 0.952 0.669
5 Pm 0.452 0.787 0.169
6 Pm 0.500 0.500 0.500
7 Pm 0.548 0.213 0.831
8 Pm 0.713 0.048 0.331
9 Pm 0.787 0.452 0.831
10 Pm 0.952 0.287 0.331
11 Hg 0.215 0.215 0.000
12 Hg 0.285 0.285 0.500
13 Hg 0.715 0.715 0.500
14 Hg 0.785 0.785 0.000
15 Ru 0.132 0.868 0.366
16 Ru 0.368 0.632 0.866
17 Ru 0.632 0.368 0.134
18 Ru 0.868 0.132 0.634

----------

1.
The following is a simulated powder X-ray diffraction pattern of TeMoWSe2S. It was derived from DFT lattice parameters and positions (PBE), using Cu Kα, 1.54184 Å.
Lines closer than 0.1° are merged.

Peak list (8 most intense, 2θ = 5–70°, sorted by position)
d 12.691, I = 21, hkl 0 0 3
d 7.614, I = 100, hkl 0 0 5
d 2.891, I = 52, hkl 1 0 0
d 2.472, I = 84, hkl 1 0 8
d 2.388, I = 15, hkl 1 0 9
d 2.058, I = 49, hkl 0 1 13
d 1.982, I = 16, hkl 1 0 14
d 1.670, I = 31, hkl 1 1 0

Structural model:
Lattice parameters (Å, degrees): 3.341 3.341 38.072 90.00 90.00 120.00
Fractional coordinates of all 12 atoms:
Te 0.000 0.000 0.000
Te 0.000 0.000 0.100
Mo 0.667 0.333 0.050
Mo 0.667 0.333 0.674
W 0.000 0.000 0.238
W 0.000 0.000 0.862
Se 0.000 0.000 0.630
Se 0.000 0.000 0.718
Se 0.667 0.333 0.818
Se 0.667 0.333 0.906
S 0.667 0.333 0.198
S 0.667 0.333 0.278

---

2.
The following is a simulated powder X-ray diffraction pattern of Te2MoW3Se2S4. It was derived from DFT lattice parameters and positions (PBE), using Cu Kα, 1.54184 Å.
Lines closer than 0.1° are merged.

Peak list (8 most intense, 2θ = 5–70°, sorted by position)
d 14.245, I = 11, hkl 0 0 3
d 8.547, I = 100, hkl 0 0 5
d 7.123, I = 17, hkl 0 0 6
d 2.861, I = 27, hkl 1 0 0
d 2.715, I = 11, hkl 1 0 5
d 2.524, I = 36, hkl 1 0 8
d 2.159, I = 35, hkl 0 1 13
d 1.653, I = 15, hkl 1 1 0

Structural model:
Lattice parameters (Å, degrees): 3.306 3.306 42.735 90.00 90.00 120.00
Fractional coordinates of all 12 atoms:
Te 0.000 0.000 0.000
Te 0.000 0.000 0.090
Mo 0.333 0.667 0.045
W 0.000 0.000 0.237
W 0.000 0.000 0.857
W 0.333 0.667 0.423
Se 0.333 0.667 0.198
Se 0.333 0.667 0.277
S 0.000 0.000 0.387
____________
Here it is >
52.1	1.755	18
61.4	1.511	14
64.2	1.451	34
73.4	1.291	8
76.8	1.241	6

Crystal structure
a b c (Å): 3.510 3.510 11.426
angles (deg): 90.00 90.00 90.00
Element x y z (fractional)
1 Pm 0.000 0.000 0.000
2 Pm 0.000 0.000 0.304
3 Pm 0.000 0.000 0.696
4 Hg 0.500 0.500 0.500
5 Ru 0.500 0.500 0.159
6 Ru 0.500 0.500 0.841

---

Starting from a structure optimized by DFT (GGA-PBE), the X-ray diffraction stick pattern of Pm5Hg2Ru2 was calculated for Cu Kα X-rays.

Largest 10 diffraction maxima, sorted by position, 2θ = 10–80°:
Position (°2θ)	d_spacing	I_rel
30.5	2.930	41
31.8	2.814	47
32.2	2.783	100
32.7	2.741	47
34.2	2.621	58
36.7	2.446	43
37.4	2.402	40
37.9	2.372	32
58.0	1.591	27
64.1	1.453	22

Crystal structure
a b c (Å): 8.946 8.946 7.842
angles (deg): 90.00 90.00 50.73
Element x y z (fractional)
1 Pm 0.000 0.000 0.000
2 Pm 0.048 0.713 0.669
3 Pm 0.213 0.548 0.169
4 Pm 0.287 0.952 0.669
5 Pm 0.452 0.787 0.169
6 Pm 0.500 0.500 0.500
7 Pm 0.548 0.213 0.831
8 Pm 0.713 0.048 0.331
9 Pm 0.787 0.452 0.831
10 Pm 0.952 0.287 0.331
11 Hg 0.215 0.215 0.000
12 Hg 0.285 0.285 0.500
13 Hg 0.715 0.715 0.500
14 Hg 0.785 0.785 0.000
15 Ru 0.132 0.868 0.366
16 Ru 0.368 0.632 0.866
17 Ru 0.632 0.368 0.134
18 Ru 0.868 0.132 0.634

----------

1.
The following is a simulated powder X-ray diffraction pattern of TeMoWSe2S. It was derived from DFT lattice parameters and positions (PBE), using Cu Kα, 1.54184 Å.
Lines closer than 0.1° are merged.

Peak list (8 most intense, 2θ = 5–70°, sorted by position)
d 12.691, I = 21, hkl 0 0 3
d 7.614, I = 100, hkl 0 0 5
d 2.891, I = 52, hkl 1 0 0
d 2.472, I = 84, hkl 1 0 8
d 2.388, I = 15, hkl 1 0 9
d 2.058, I = 49, hkl 0 1 13
d 1.982, I = 16, hkl 1 0 14
d 1.670, I = 31, hkl 1 1 0

Structural model:
Lattice parameters (Å, degrees): 3.341 3.341 38.072 90.00 90.00 120.00
Fractional coordinates of all 12 atoms:
Te 0.000 0.000 0.000
Te 0.000 0.000 0.100
Mo 0.667 0.333 0.050
Mo 0.667 0.333 0.674
W 0.000 0.000 0.238
W 0.000 0.000 0.862
Se 0.000 0.000 0.630
Se 0.000 0.000 0.718
Se 0.667 0.333 0.818
Se 0.667 0.333 0.906
S 0.667 0.333 0.198
S 0.667 0.333 0.278

---

2.
The following is a simulated powder X-ray diffraction pattern of Te2MoW3Se2S4. It was derived from DFT lattice parameters and positions (PBE), using Cu Kα, 1.54184 Å.
Lines closer than 0.1° are merged.

Peak list (8 most intense, 2θ = 5–70°, sorted by position)
d 14.245, I = 11, hkl 0 0 3
d 8.547, I = 100, hkl 0 0 5
d 7.123, I = 17, hkl 0 0 6
d 2.861, I = 27, hkl 1 0 0
d 2.715, I = 11, hkl 1 0 5
d 2.524, I = 36, hkl 1 0 8
d 2.159, I = 35, hkl 0 1 13
d 1.653, I = 15, hkl 1 1 0

Structural model:
Lattice parameters (Å, degrees): 3.306 3.306 42.735 90.00 90.00 120.00
Fractional coordinates of all 12 atoms:
Te 0.000 0.000 0.000
Te 0.000 0.000 0.090
Mo 0.333 0.667 0.045
W 0.000 0.000 0.237
W 0.000 0.000 0.857
W 0.333 0.667 0.423
Se 0.333 0.667 0.198
Se 0.333 0.667 0.277
S 0.000 0.000 0.387